Your job: start at the top of the lines further below and reproduce each line, ending with the one that has "-10.1517 5.9435".

┌──
CePd7, optimized geometry, DFT r2SCAN; energy = -24.43 eV per atom
1.0
-3.2769 2.1369 -4.1184
0.4371 -1.9952 -5.3003
-4.1904 -3.1345 -2.2094
Pd Ce
7 1
Cartesian
0.2186 -0.9976 -2.6502
-1.8766 -2.5648 -3.7549
-1.6385 1.0684 -2.0592
-3.5151 -1.4964 -5.8140
-3.7336 -0.4988 -3.1639
-1.4199 0.0708 -4.7093
-2.0952 -1.5672 -1.1047
0.0000 0.0000 0.0000



NdAl2Ge2, optimized geometry, DFT r2SCAN; energy = -14.64 eV per atom
1.0
-4.0617 -1.1704 -0.4823
2.1792 -1.2457 3.4351
-2.0373 5.6879 3.3550
Ge Al Nd
2 2 1
Cartesian
-3.4712 2.9639 3.2769
-0.4487 0.3080 3.0309
-2.7158 0.8548 2.0328
-1.2041 2.4171 4.2750
0.0000 0.0000 0.0000



NaB4Ir3, optimized geometry, DFT r2SCAN; energy = -24.06 eV per atom
1.0
5.7087 4.9712 0.0000
-5.7087 4.9712 0.0000
0.0000 0.0000 8.2924
Ir B Na
12 16 4
Cartesian
2.8791 4.9724 5.5139
2.8803 4.9712 0.0000
-1.5773 2.4856 2.5931
1.6296 7.4568 5.6989
2.8791 4.9700 2.7785
-2.8284 4.9712 0.0000
-5.6797 4.9712 0.0000
0.0290 4.9712 0.0000
-1.5773 7.4568 5.6992
-2.8296 4.9700 5.5139
-2.8296 4.9724 2.7785
1.6296 2.4856 2.5934
0.0260 1.5259 1.5699
2.8842 6.5651 4.1473
0.0260 8.4165 6.7224
-4.1457 4.1912 6.9388
1.5630 4.1912 1.3536
0.0260 6.4971 6.7224
-1.5162 5.7544 6.9380
-4.1457 5.7512 1.3536
0.0260 3.4453 1.5699
4.1925 5.7544 1.3543
2.8842 3.3773 4.1451
-2.8245 6.5651 4.1451
-1.5162 4.1880 1.3543
-2.8245 3.3773 4.1473
1.5630 5.7512 6.9388
4.1925 4.1880 6.9380
-1.2790 7.4568 1.2527
-1.2790 2.4856 7.0396
0.0377 4.9712 4.1462
-5.6710 4.9712 4.1462



BaPd, optimized geometry, DFT r2SCAN; energy = -25.24 eV per atom
1.0
-4.4865 0.0007 0.0000
0.0000 0.0000 -4.6800
-2.2424 -5.9458 0.0000
Ba Pd
2 2
Cartesian
-2.2419 -4.2988 -3.5100
-4.4869 -1.6463 -1.1700
-2.2430 -0.7986 -3.5100
-4.4858 -5.1466 -1.1700



NdTlSe2, optimized geometry, DFT r2SCAN; energy = -29.40 eV per atom
1.0
7.8109 -2.1575 -0.0058
7.8109 2.1575 -0.0058
7.2177 0.0000 3.6837
Tl Se Nd
1 2 1
Cartesian
11.4197 0.0000 1.8360
6.0042 0.0000 0.9653
16.8352 0.0000 2.7067
0.0000 0.0000 0.0000



Ba5SrNd2Fe4O15, optimized geometry, DFT r2SCAN; energy = -15.76 eV per atom
1.0
10.1780 5.9079 0.0129
-10.1780 5.9079 0.0129
0.0000 0.0239 7.0333
Nd Ba Fe Sr O
4 10 8 2 30
Cartesian
0.4640 5.9109 1.1906
4.8531 8.4656 1.2149
-0.4640 5.9229 4.7073
-4.8531 8.4776 4.7315
6.6477 5.9293 5.9064
10.1517 5.9315 3.4762
-10.1517 5.9435 6.9928
1.7813 3.0889 5.9079
-6.6477 5.9174 2.3897
-1.7821 8.7776 2.3460
1.7821 8.7896 5.8627
-3.4152 5.9197 0.1200
-1.7813 3.0769 2.3913
3.4152 5.9317 3.6367
1.7914 8.6440 2.3722
3.3932 5.9204 6.8381
-1.7914 8.6559 5.8889
6.5288 5.8902 2.3879
-3.3932 5.9084 3.3215
1.8223 3.1935 2.4234
-6.5288 5.9022 5.9046
-1.8223 3.2055 5.9401
4.8403 3.3661 1.1971
-4.8403 3.3780 4.7138
4.2252 7.3972 5.9347
-6.1758 4.3889 6.9605
-4.2143 4.4689 2.3218
-0.9080 10.0847 5.1525
0.6590 7.4770 3.3246
-4.2252 7.3852 2.4180
4.2143 4.4808 5.8384
-6.1818 7.5006 6.7878
-0.6590 7.4889 6.8413
-2.4883 7.4137 4.6349
8.1775 5.8070 1.5690
5.0638 5.9679 1.1704
-1.0089 1.7596 5.1436
6.1818 7.4887 3.2711
-8.1775 5.8189 5.0857
6.1758 4.3769 3.4438
0.6405 4.3282 3.3500
3.3722 9.0649 3.2475
1.6677 5.9241 5.8812
2.4883 7.4017 1.1183
1.0089 1.7477 1.6270
-1.6677 5.9122 2.3645
-3.3722 9.0768 6.7642
0.9080 10.0728 1.6358
-5.0638 5.9799 4.6871
2.4638 4.4696 1.1696
-2.4638 4.4816 4.6863
-3.3256 2.7576 6.9584
-0.6405 4.3401 6.8666
3.3256 2.7457 3.4418



Sc2CoSi2, optimized geometry, DFT r2SCAN; energy = -11.52 eV per atom
1.0
-3.2324 1.9414 -1.1513
-1.7478 -1.7014 -4.7118
-6.3451 -4.8480 2.8896
Si Sc Co
4 4 2
Cartesian
-7.6352 -2.3295 -2.7418
-3.6901 -2.2785 -0.2317
-9.0033 -2.5719 0.6907
-2.3220 -2.0361 -3.6642
-6.4478 -2.8356 -0.1786
-9.1741 -4.2622 -1.6800
-2.1512 -0.3458 -1.2935
-4.8775 -1.7724 -2.7948
-5.0220 -0.4506 -0.1600
-6.3033 -4.1574 -2.8134



Li2MgSi, optimized geometry, DFT r2SCAN; energy = -4.71 eV per atom
1.0
-3.1589 3.9888 3.7761
3.3555 -2.0472 4.9696
4.3485 4.4773 -1.0918
Mg Si Li
4 4 8
Cartesian
1.6778 -1.0236 2.4848
-1.5794 1.9944 1.8880
2.1743 2.2386 -0.5459
└──

CePd7, optimized geometry, DFT r2SCAN; energy = -24.43 eV per atom
1.0
-3.2769 2.1369 -4.1184
0.4371 -1.9952 -5.3003
-4.1904 -3.1345 -2.2094
Pd Ce
7 1
Cartesian
0.2186 -0.9976 -2.6502
-1.8766 -2.5648 -3.7549
-1.6385 1.0684 -2.0592
-3.5151 -1.4964 -5.8140
-3.7336 -0.4988 -3.1639
-1.4199 0.0708 -4.7093
-2.0952 -1.5672 -1.1047
0.0000 0.0000 0.0000



NdAl2Ge2, optimized geometry, DFT r2SCAN; energy = -14.64 eV per atom
1.0
-4.0617 -1.1704 -0.4823
2.1792 -1.2457 3.4351
-2.0373 5.6879 3.3550
Ge Al Nd
2 2 1
Cartesian
-3.4712 2.9639 3.2769
-0.4487 0.3080 3.0309
-2.7158 0.8548 2.0328
-1.2041 2.4171 4.2750
0.0000 0.0000 0.0000



NaB4Ir3, optimized geometry, DFT r2SCAN; energy = -24.06 eV per atom
1.0
5.7087 4.9712 0.0000
-5.7087 4.9712 0.0000
0.0000 0.0000 8.2924
Ir B Na
12 16 4
Cartesian
2.8791 4.9724 5.5139
2.8803 4.9712 0.0000
-1.5773 2.4856 2.5931
1.6296 7.4568 5.6989
2.8791 4.9700 2.7785
-2.8284 4.9712 0.0000
-5.6797 4.9712 0.0000
0.0290 4.9712 0.0000
-1.5773 7.4568 5.6992
-2.8296 4.9700 5.5139
-2.8296 4.9724 2.7785
1.6296 2.4856 2.5934
0.0260 1.5259 1.5699
2.8842 6.5651 4.1473
0.0260 8.4165 6.7224
-4.1457 4.1912 6.9388
1.5630 4.1912 1.3536
0.0260 6.4971 6.7224
-1.5162 5.7544 6.9380
-4.1457 5.7512 1.3536
0.0260 3.4453 1.5699
4.1925 5.7544 1.3543
2.8842 3.3773 4.1451
-2.8245 6.5651 4.1451
-1.5162 4.1880 1.3543
-2.8245 3.3773 4.1473
1.5630 5.7512 6.9388
4.1925 4.1880 6.9380
-1.2790 7.4568 1.2527
-1.2790 2.4856 7.0396
0.0377 4.9712 4.1462
-5.6710 4.9712 4.1462



BaPd, optimized geometry, DFT r2SCAN; energy = -25.24 eV per atom
1.0
-4.4865 0.0007 0.0000
0.0000 0.0000 -4.6800
-2.2424 -5.9458 0.0000
Ba Pd
2 2
Cartesian
-2.2419 -4.2988 -3.5100
-4.4869 -1.6463 -1.1700
-2.2430 -0.7986 -3.5100
-4.4858 -5.1466 -1.1700



NdTlSe2, optimized geometry, DFT r2SCAN; energy = -29.40 eV per atom
1.0
7.8109 -2.1575 -0.0058
7.8109 2.1575 -0.0058
7.2177 0.0000 3.6837
Tl Se Nd
1 2 1
Cartesian
11.4197 0.0000 1.8360
6.0042 0.0000 0.9653
16.8352 0.0000 2.7067
0.0000 0.0000 0.0000



Ba5SrNd2Fe4O15, optimized geometry, DFT r2SCAN; energy = -15.76 eV per atom
1.0
10.1780 5.9079 0.0129
-10.1780 5.9079 0.0129
0.0000 0.0239 7.0333
Nd Ba Fe Sr O
4 10 8 2 30
Cartesian
0.4640 5.9109 1.1906
4.8531 8.4656 1.2149
-0.4640 5.9229 4.7073
-4.8531 8.4776 4.7315
6.6477 5.9293 5.9064
10.1517 5.9315 3.4762
-10.1517 5.9435 6.9928